**File:**
'''
# BrH2O2P

A 2-piece molecular cluster, BrH2O2P overall (ωB97M-V/def2-TZVPD, the Open Molecules 2025 dataset).

Each line ends with the Mulliken charge.
Cartesian coordinates (Å):
1 O -0.70584 2.35775 1.04554  -0.4167
2 O 0.30438 0.37091 -0.07655  -0.3080
3 P 0.41399 1.47471 1.12706  0.4308
4 Br 0.83021 -2.32125 -0.86546  -0.2304
5 H -0.52676 -2.43177 -0.39428  0.1945
6 H -0.31598 0.54964 -0.83632  0.3299

Forces on the atoms, in the same order (eV/Å):
O -2.0 2.0 0.1
O -0.3 1.1 -0.3
P 1.5 -2.3 -0.8
Br -0.4 -0.8 -0.1
H 0.6 0.1 -0.2
H 0.6 -0.1 1.2

Computed properties:
HOMO-LUMO gap: 10.37 eV
Strongest force on any atom: 2.90 eV Å⁻¹
E: -83459.40032 eV
Charge: 0
Energy relative to the best compared isomer or geometry (same formula, charge and spin): 0.996 eV
SMILES: O=PO.Br

~~~~~

(1)
DFT (ωB97M-V/def2-TZVPD) results for a molecular structure, C35H46N7SW.

**Calculated total energy**: -2209.626965 Eh
**Charge**: +1
**Maximum force**: 0.49 eV/A
**Orbital gap (spin up / spin down)**: 6.481 / 7.324 eV
**HOMO energy (spin up / spin down)**: -8.6 / -10.4 eV
**Lowest unoccupied orbital energy (spin up / spin down)**: -2.11 / -3.07 eV
**Multiplicity**: 3

Last column: Mulliken charge in e.
Cartesian coordinates (Å):
W 0.00517 0.63568 -0.45508  1.866
N 0.73335 -1.46642 -0.88988  -0.944
C 0.20219 -2.70047 -0.25920  0.924
C -1.08658 -3.16409 -0.93221  -1.570
N -1.99829 -2.06608 -1.18775  0.126
C -2.94286 -1.69321 -0.14807  -1.186
C -2.29044 -1.43830 1.19271  -0.818
N -1.24116 -0.38377 1.21663  -0.361
H 1.73454 -1.41535 -0.72171  0.097
H 0.62576 -1.53296 -1.90320  0.147
H 0.94303 -3.50043 -0.33219  0.648
H 0.04880 -2.49589 0.79465  -0.991
H -0.82921 -3.60198 -1.89934  0.437
H -1.52198 -3.97268 -0.32822  0.415
H -2.50149 -2.22303 -2.04896  0.520
H -3.46113 -0.79218 -0.48743  0.337
H -3.70664 -2.46588 0.02207  0.548
H -3.07742 -1.17867 1.90322  0.550
H -1.84125 -2.35862 1.56870  0.219
H -1.66943 0.46228 1.58286  0.482
H -0.56587 -0.69222 1.94288  -0.107
N -2.87015 2.15955 -3.31342  -0.216
C -2.14790 2.03026 -4.52451  0.284
C -2.20574 2.99080 -5.52276  -0.844
C -1.45698 2.81594 -6.67794  -0.744
C -0.62572 1.71383 -6.82241  -0.704
C -0.55098 0.76494 -5.81352  -0.604
C -1.33582 0.91322 -4.68090  0.768
S -1.44154 -0.30648 -3.41866  -0.362
N -1.47307 0.73255 -2.05472  -0.234
C -2.19855 1.84022 -2.14255  0.493
C -2.17922 2.68942 -1.00775  1.207
C -2.99058 3.82976 -0.83494  -1.294
C -3.01129 4.48406 0.36000  -0.839
C -2.20885 3.99265 1.42068  -1.284
C -1.39250 2.92871 1.19554  0.003
N -1.31062 2.27774 -0.00341  0.454
H -3.42235 3.00077 -3.26238  0.281
H -2.83330 3.86575 -5.40021  0.380
H -1.51358 3.55725 -7.46362  0.394
H -0.03041 1.59516 -7.71749  0.447
H 0.10549 -0.09060 -5.90225  0.454
H -3.62152 4.17372 -1.64374  0.341
H -3.63971 5.35193 0.50113  0.435
H -2.21665 4.46068 2.39383  0.474
H -0.73312 2.56495 1.97109  0.555
C 1.03830 -3.14679 3.15065  -1.236
N 0.86468 -1.70754 2.97540  0.034
C 0.60569 -1.09386 4.27739  -0.983
C 2.05697 -1.14087 2.32179  -1.485
C 2.07067 0.37001 2.24605  1.009
C 2.91927 0.98668 3.17539  -0.568
C 3.07329 2.35603 3.23743  -1.039
C 2.36808 3.13593 2.33377  -1.076
C 1.54547 2.52472 1.40425  -0.408
C 1.33753 1.13070 1.31030  0.880
H 1.86334 -3.37006 3.84137  0.402
H 1.26645 -3.62464 2.19749  0.337
H 0.12586 -3.58629 3.55392  0.378
H 1.45143 -1.22620 4.96619  0.390
H -0.27356 -1.56053 4.72178  0.288
H 0.42253 -0.02664 4.16597  0.296
H 2.12213 -1.58586 1.32592  0.195
H 2.95719 -1.46765 2.86240  0.656
H 3.47769 0.36304 3.86487  0.408
H 3.73681 2.80406 3.96508  0.405
H 2.47029 4.21432 2.33744  0.484
H 1.03937 3.17763 0.69990  0.755
C 3.85794 0.52454 -1.13490  -1.561
C 2.86871 1.32704 -1.99648  2.926
C 3.24181 2.81120 -1.86954  -2.286
C 1.48174 1.14700 -1.46147  -1.048
C 2.89292 0.84131 -3.45298  -0.107
C 3.03607 1.71652 -4.52477  -0.321
C 3.08241 1.24596 -5.83205  -0.799
C 2.98104 -0.10924 -6.09561  -0.591
C 2.82029 -0.99480 -5.03757  -1.115
C 2.77585 -0.52010 -3.73724  0.245
H 3.78273 0.83615 -0.09230  0.247
'''
**Assignment:**
Repeat everything further up with every line break kept.
**Completed:**
# BrH2O2P

A 2-piece molecular cluster, BrH2O2P overall (ωB97M-V/def2-TZVPD, the Open Molecules 2025 dataset).

Each line ends with the Mulliken charge.
Cartesian coordinates (Å):
1 O -0.70584 2.35775 1.04554  -0.4167
2 O 0.30438 0.37091 -0.07655  -0.3080
3 P 0.41399 1.47471 1.12706  0.4308
4 Br 0.83021 -2.32125 -0.86546  -0.2304
5 H -0.52676 -2.43177 -0.39428  0.1945
6 H -0.31598 0.54964 -0.83632  0.3299

Forces on the atoms, in the same order (eV/Å):
O -2.0 2.0 0.1
O -0.3 1.1 -0.3
P 1.5 -2.3 -0.8
Br -0.4 -0.8 -0.1
H 0.6 0.1 -0.2
H 0.6 -0.1 1.2

Computed properties:
HOMO-LUMO gap: 10.37 eV
Strongest force on any atom: 2.90 eV Å⁻¹
E: -83459.40032 eV
Charge: 0
Energy relative to the best compared isomer or geometry (same formula, charge and spin): 0.996 eV
SMILES: O=PO.Br

~~~~~

(1)
DFT (ωB97M-V/def2-TZVPD) results for a molecular structure, C35H46N7SW.

**Calculated total energy**: -2209.626965 Eh
**Charge**: +1
**Maximum force**: 0.49 eV/A
**Orbital gap (spin up / spin down)**: 6.481 / 7.324 eV
**HOMO energy (spin up / spin down)**: -8.6 / -10.4 eV
**Lowest unoccupied orbital energy (spin up / spin down)**: -2.11 / -3.07 eV
**Multiplicity**: 3

Last column: Mulliken charge in e.
Cartesian coordinates (Å):
W 0.00517 0.63568 -0.45508  1.866
N 0.73335 -1.46642 -0.88988  -0.944
C 0.20219 -2.70047 -0.25920  0.924
C -1.08658 -3.16409 -0.93221  -1.570
N -1.99829 -2.06608 -1.18775  0.126
C -2.94286 -1.69321 -0.14807  -1.186
C -2.29044 -1.43830 1.19271  -0.818
N -1.24116 -0.38377 1.21663  -0.361
H 1.73454 -1.41535 -0.72171  0.097
H 0.62576 -1.53296 -1.90320  0.147
H 0.94303 -3.50043 -0.33219  0.648
H 0.04880 -2.49589 0.79465  -0.991
H -0.82921 -3.60198 -1.89934  0.437
H -1.52198 -3.97268 -0.32822  0.415
H -2.50149 -2.22303 -2.04896  0.520
H -3.46113 -0.79218 -0.48743  0.337
H -3.70664 -2.46588 0.02207  0.548
H -3.07742 -1.17867 1.90322  0.550
H -1.84125 -2.35862 1.56870  0.219
H -1.66943 0.46228 1.58286  0.482
H -0.56587 -0.69222 1.94288  -0.107
N -2.87015 2.15955 -3.31342  -0.216
C -2.14790 2.03026 -4.52451  0.284
C -2.20574 2.99080 -5.52276  -0.844
C -1.45698 2.81594 -6.67794  -0.744
C -0.62572 1.71383 -6.82241  -0.704
C -0.55098 0.76494 -5.81352  -0.604
C -1.33582 0.91322 -4.68090  0.768
S -1.44154 -0.30648 -3.41866  -0.362
N -1.47307 0.73255 -2.05472  -0.234
C -2.19855 1.84022 -2.14255  0.493
C -2.17922 2.68942 -1.00775  1.207
C -2.99058 3.82976 -0.83494  -1.294
C -3.01129 4.48406 0.36000  -0.839
C -2.20885 3.99265 1.42068  -1.284
C -1.39250 2.92871 1.19554  0.003
N -1.31062 2.27774 -0.00341  0.454
H -3.42235 3.00077 -3.26238  0.281
H -2.83330 3.86575 -5.40021  0.380
H -1.51358 3.55725 -7.46362  0.394
H -0.03041 1.59516 -7.71749  0.447
H 0.10549 -0.09060 -5.90225  0.454
H -3.62152 4.17372 -1.64374  0.341
H -3.63971 5.35193 0.50113  0.435
H -2.21665 4.46068 2.39383  0.474
H -0.73312 2.56495 1.97109  0.555
C 1.03830 -3.14679 3.15065  -1.236
N 0.86468 -1.70754 2.97540  0.034
C 0.60569 -1.09386 4.27739  -0.983
C 2.05697 -1.14087 2.32179  -1.485
C 2.07067 0.37001 2.24605  1.009
C 2.91927 0.98668 3.17539  -0.568
C 3.07329 2.35603 3.23743  -1.039
C 2.36808 3.13593 2.33377  -1.076
C 1.54547 2.52472 1.40425  -0.408
C 1.33753 1.13070 1.31030  0.880
H 1.86334 -3.37006 3.84137  0.402
H 1.26645 -3.62464 2.19749  0.337
H 0.12586 -3.58629 3.55392  0.378
H 1.45143 -1.22620 4.96619  0.390
H -0.27356 -1.56053 4.72178  0.288
H 0.42253 -0.02664 4.16597  0.296
H 2.12213 -1.58586 1.32592  0.195
H 2.95719 -1.46765 2.86240  0.656
H 3.47769 0.36304 3.86487  0.408
H 3.73681 2.80406 3.96508  0.405
H 2.47029 4.21432 2.33744  0.484
H 1.03937 3.17763 0.69990  0.755
C 3.85794 0.52454 -1.13490  -1.561
C 2.86871 1.32704 -1.99648  2.926
C 3.24181 2.81120 -1.86954  -2.286
C 1.48174 1.14700 -1.46147  -1.048
C 2.89292 0.84131 -3.45298  -0.107
C 3.03607 1.71652 -4.52477  -0.321
C 3.08241 1.24596 -5.83205  -0.799
C 2.98104 -0.10924 -6.09561  -0.591
C 2.82029 -0.99480 -5.03757  -1.115
C 2.77585 -0.52010 -3.73724  0.245
H 3.78273 0.83615 -0.09230  0.247